Work order.
Please copy the entries below character by character.

File.
# Fe3O2F4, relaxed, DFT PBE with a Hubbard U
# E_form: -2.177 eV per atom
# Total energy: -105.1 eV/cell
# Size of the total moment: 28.00 Bohr magnetons per cell
# ΔE to the lowest computed polymorph: 20 meV/atom
data_Fe3O2F4
_symmetry_space_group_name_H-M 'P 1'
_symmetry_Int_Tables_number 1
_symmetry_space_group_name_Hall 'P 1'
_cell_length_a 5.7459
_cell_length_b 5.7459
_cell_length_c 7.5311
_cell_angle_alpha 71.75
_cell_angle_beta 71.75
_cell_angle_gamma 72.62
loop_
_atom_site_label
_atom_site_type_symbol
_atom_site_fract_x
_atom_site_fract_y
_atom_site_fract_z
O1 O 0.0230 0.6290 0.6720
O2 O 0.7703 0.7658 0.0384
O3 O 0.2342 0.2297 0.9616
O4 O 0.3710 0.9770 0.3280
Fe1 Fe 0.6441 0.6961 0.3116
Fe2 Fe 0.3250 0.3006 0.1556
Fe3 Fe 0.0124 0.9876 0.5000
Fe4 Fe 0.6994 0.6750 0.8444
Fe5 Fe 0.0106 0.9894 0.0000
Fe6 Fe 0.3039 0.3559 0.6884
F1 F 0.3287 0.6713 0.0000
F2 F 0.9680 0.3774 0.3296
F3 F 0.4370 0.4367 0.3725
F4 F 0.1121 0.1139 0.6929
F5 F 0.6882 0.3118 0.0000
F6 F 0.8861 0.8879 0.3071
F7 F 0.6226 0.0320 0.6704
F8 F 0.5633 0.5630 0.6275

***

# Fe5O4F8, relaxed, DFT PBE with a Hubbard U
# E_form: -2.165 eV per atom
# Total energy: -96.5 eV/cell
# Size of the total moment: 4.00 Bohr magnetons per cell
# ΔE to the lowest computed polymorph: 0 meV/atom
data_Fe5O4F8
_symmetry_space_group_name_H-M 'P 1'
_symmetry_Int_Tables_number 1
_symmetry_space_group_name_Hall 'P 1'
_cell_length_a 4.6764
_cell_length_b 4.6764
_cell_length_c 8.9375
_cell_angle_alpha 90.00
_cell_angle_beta 90.00
_cell_angle_gamma 93.69
loop_
_atom_site_label
_atom_site_type_symbol
_atom_site_fract_x
_atom_site_fract_y
_atom_site_fract_z
O1 O 0.3031 0.3031 0.3456
O2 O 0.6969 0.6969 0.3456
O3 O 0.6969 0.6969 0.6544
O4 O 0.3031 0.3031 0.6544
F1 F 0.6938 0.6938 0.0000
F2 F 0.2080 0.7920 0.5000
F3 F 0.7920 0.2080 0.5000
F4 F 0.7913 0.2087 0.1747
F5 F 0.2087 0.7913 0.8253
F6 F 0.3062 0.3062 0.0000
F7 F 0.7913 0.2087 0.8253
F8 F 0.2087 0.7913 0.1747
Fe1 Fe 0.0000 0.0000 0.6807
Fe2 Fe 0.5000 0.5000 0.1730
Fe3 Fe 0.0000 0.0000 0.3193
Fe4 Fe 0.5000 0.5000 0.5000
Fe5 Fe 0.5000 0.5000 0.8270

***

# Fe6O7F5, relaxed, DFT PBE with a Hubbard U
# E_form: -1.891 eV per atom
# Total energy: -108.4 eV/cell
# Size of the total moment: 29.00 Bohr magnetons per cell
# ΔE to the lowest computed polymorph: 24 meV/atom
data_Fe6O7F5
_symmetry_space_group_name_H-M 'P 1'
_symmetry_Int_Tables_number 1
_symmetry_space_group_name_Hall 'P 1'
_cell_length_a 4.6945
_cell_length_b 5.6335
_cell_length_c 7.7475
_cell_angle_alpha 85.86
_cell_angle_beta 89.57
_cell_angle_gamma 88.87
loop_
_atom_site_label
_atom_site_type_symbol
_atom_site_fract_x
_atom_site_fract_y
_atom_site_fract_z
O1 O 0.8055 0.9623 0.2346
O2 O 0.6916 0.1293 0.5638
O3 O 0.8035 0.2957 0.9068
O4 O 0.1928 0.7004 0.1006
O5 O 0.3055 0.5402 0.7593
O6 O 0.3120 0.2014 0.1140
O7 O 0.8075 0.6311 0.5524
Fe1 Fe 0.5235 0.1600 0.3354
Fe2 Fe 0.0156 0.0139 0.0171
Fe3 Fe 0.9938 0.6738 0.3240
Fe4 Fe 0.9662 0.3494 0.6771
Fe5 Fe 0.5261 0.8237 0.6633
Fe6 Fe 0.4606 0.4793 0.9855
F1 F 0.2986 0.8710 0.4367
F2 F 0.6925 0.4663 0.2299
F3 F 0.2021 0.0375 0.7690
F4 F 0.2000 0.3685 0.4313
F5 F 0.7024 0.7962 0.8992

Solution.
# Fe3O2F4, relaxed, DFT PBE with a Hubbard U
# E_form: -2.177 eV per atom
# Total energy: -105.1 eV/cell
# Size of the total moment: 28.00 Bohr magnetons per cell
# ΔE to the lowest computed polymorph: 20 meV/atom
data_Fe3O2F4
_symmetry_space_group_name_H-M 'P 1'
_symmetry_Int_Tables_number 1
_symmetry_space_group_name_Hall 'P 1'
_cell_length_a 5.7459
_cell_length_b 5.7459
_cell_length_c 7.5311
_cell_angle_alpha 71.75
_cell_angle_beta 71.75
_cell_angle_gamma 72.62
loop_
_atom_site_label
_atom_site_type_symbol
_atom_site_fract_x
_atom_site_fract_y
_atom_site_fract_z
O1 O 0.0230 0.6290 0.6720
O2 O 0.7703 0.7658 0.0384
O3 O 0.2342 0.2297 0.9616
O4 O 0.3710 0.9770 0.3280
Fe1 Fe 0.6441 0.6961 0.3116
Fe2 Fe 0.3250 0.3006 0.1556
Fe3 Fe 0.0124 0.9876 0.5000
Fe4 Fe 0.6994 0.6750 0.8444
Fe5 Fe 0.0106 0.9894 0.0000
Fe6 Fe 0.3039 0.3559 0.6884
F1 F 0.3287 0.6713 0.0000
F2 F 0.9680 0.3774 0.3296
F3 F 0.4370 0.4367 0.3725
F4 F 0.1121 0.1139 0.6929
F5 F 0.6882 0.3118 0.0000
F6 F 0.8861 0.8879 0.3071
F7 F 0.6226 0.0320 0.6704
F8 F 0.5633 0.5630 0.6275

***

# Fe5O4F8, relaxed, DFT PBE with a Hubbard U
# E_form: -2.165 eV per atom
# Total energy: -96.5 eV/cell
# Size of the total moment: 4.00 Bohr magnetons per cell
# ΔE to the lowest computed polymorph: 0 meV/atom
data_Fe5O4F8
_symmetry_space_group_name_H-M 'P 1'
_symmetry_Int_Tables_number 1
_symmetry_space_group_name_Hall 'P 1'
_cell_length_a 4.6764
_cell_length_b 4.6764
_cell_length_c 8.9375
_cell_angle_alpha 90.00
_cell_angle_beta 90.00
_cell_angle_gamma 93.69
loop_
_atom_site_label
_atom_site_type_symbol
_atom_site_fract_x
_atom_site_fract_y
_atom_site_fract_z
O1 O 0.3031 0.3031 0.3456
O2 O 0.6969 0.6969 0.3456
O3 O 0.6969 0.6969 0.6544
O4 O 0.3031 0.3031 0.6544
F1 F 0.6938 0.6938 0.0000
F2 F 0.2080 0.7920 0.5000
F3 F 0.7920 0.2080 0.5000
F4 F 0.7913 0.2087 0.1747
F5 F 0.2087 0.7913 0.8253
F6 F 0.3062 0.3062 0.0000
F7 F 0.7913 0.2087 0.8253
F8 F 0.2087 0.7913 0.1747
Fe1 Fe 0.0000 0.0000 0.6807
Fe2 Fe 0.5000 0.5000 0.1730
Fe3 Fe 0.0000 0.0000 0.3193
Fe4 Fe 0.5000 0.5000 0.5000
Fe5 Fe 0.5000 0.5000 0.8270

***

# Fe6O7F5, relaxed, DFT PBE with a Hubbard U
# E_form: -1.891 eV per atom
# Total energy: -108.4 eV/cell
# Size of the total moment: 29.00 Bohr magnetons per cell
# ΔE to the lowest computed polymorph: 24 meV/atom
data_Fe6O7F5
_symmetry_space_group_name_H-M 'P 1'
_symmetry_Int_Tables_number 1
_symmetry_space_group_name_Hall 'P 1'
_cell_length_a 4.6945
_cell_length_b 5.6335
_cell_length_c 7.7475
_cell_angle_alpha 85.86
_cell_angle_beta 89.57
_cell_angle_gamma 88.87
loop_
_atom_site_label
_atom_site_type_symbol
_atom_site_fract_x
_atom_site_fract_y
_atom_site_fract_z
O1 O 0.8055 0.9623 0.2346
O2 O 0.6916 0.1293 0.5638
O3 O 0.8035 0.2957 0.9068
O4 O 0.1928 0.7004 0.1006
O5 O 0.3055 0.5402 0.7593
O6 O 0.3120 0.2014 0.1140
O7 O 0.8075 0.6311 0.5524
Fe1 Fe 0.5235 0.1600 0.3354
Fe2 Fe 0.0156 0.0139 0.0171
Fe3 Fe 0.9938 0.6738 0.3240
Fe4 Fe 0.9662 0.3494 0.6771
Fe5 Fe 0.5261 0.8237 0.6633
Fe6 Fe 0.4606 0.4793 0.9855
F1 F 0.2986 0.8710 0.4367
F2 F 0.6925 0.4663 0.2299
F3 F 0.2021 0.0375 0.7690
F4 F 0.2000 0.3685 0.4313
F5 F 0.7024 0.7962 0.8992